Should people be made work for the Dole?


Registered User
Does anyone disagree with the notion that anyone who is capable of working should be made work for their dole?

I hear all the time that the dole is too high and is a discouragement to find a job. Also people on the dole would rather be working.

Well, why not make it compulsory for people to get out of their beds at least 3 mornings per week and earn their dole?
Would you apply this to someone who was laid off after 25 years of working for a company who went to the wall during the financial crisis and paid his/her PAYE taxes and PRSI social insurance over those 25 years?
Yes - I disagree with the notion that people should be made work for their dole.

_Misplaced records of crystals_
- - -
Record 1
# SmNpHgO6 | Alexandria | PBE-GGA | relaxed
# Total DFT energy (no corrections), eV per atom: -7.561
# Space-group type: P4_2nm, No. 102
data_SmNpHgO6
_space_group_name_H-M_alt 'P 1'
_space_group_IT_number 1
_cell_length_a 5.1862
_cell_length_b 5.1862
_cell_length_c 10.5158
_cell_angle_alpha 90.00
_cell_angle_beta 90.00
_cell_angle_gamma 90.00
loop_
_space_group_symop_operation_xyz
'x,y,z'
loop_
_atom_site_label
_atom_site_fract_x
_atom_site_fract_y
_atom_site_fract_z
_atom_site_occupancy
Sm1 0.5000 0.5000 0.1679 1
Sm2 0.0000 0.0000 0.6679 1
Np1 0.5000 0.5000 0.8328 1
Np2 0.0000 0.0000 0.3328 1
Hg1 0.5000 0.5000 0.4980 1
Hg2 0.0000 0.0000 0.9980 1
O1 0.1807 0.8193 0.4820 1
O2 0.8193 0.1807 0.4820 1
O3 0.3193 0.3193 0.9820 1
O4 0.6807 0.6807 0.9820 1
O5 0.1888 0.8112 0.1906 1
O6 0.8112 0.1888 0.1906 1
O7 0.3112 0.3112 0.6906 1
O8 0.6888 0.6888 0.6906 1
O9 0.7741 0.2259 0.8281 1
O10 0.2259 0.7741 0.8281 1
O11 0.7259 0.7259 0.3281 1
O12 0.2741 0.2741 0.3281 1

---

Record 2
# SmNpHg2O6 | Alexandria | PBE-GGA | relaxed
# Total DFT energy (no corrections), eV per atom: -6.768
# Space-group type: R-3, No. 148
data_SmNpHg2O6
_space_group_name_H-M_alt 'P 1'
_space_group_IT_number 1
_cell_length_a 5.9036
_cell_length_b 5.9033
_cell_length_c 6.1821
_cell_angle_alpha 61.47
_cell_angle_beta 61.47
_cell_angle_gamma 60.00
loop_
_space_group_symop_operation_xyz
'x,y,z'
loop_
_atom_site_label
_atom_site_fract_x
_atom_site_fract_y
_atom_site_fract_z
_atom_site_occupancy
Sm1 0.8162 0.8162 0.5515 1
Np1 0.3162 0.3162 0.0515 1
Hg1 0.5626 0.5626 0.3122 1
Hg2 0.0697 0.0697 0.7909 1
O1 0.5479 0.1949 0.2924 1
O2 0.1950 0.9647 0.2924 1
O3 0.9648 0.5478 0.2925 1
O4 0.4374 0.6676 0.8106 1
O5 0.6675 0.0845 0.8105 1
O6 0.0844 0.4374 0.8106 1

---

Record 3
# SrNpHg2O6 | Alexandria | PBE-GGA | relaxed
# Total DFT energy (no corrections), eV per atom: -6.314
# Space-group type: R-3, No. 148
data_SrNpHg2O6
_space_group_name_H-M_alt 'P 1'
_space_group_IT_number 1
_cell_length_a 6.0006
_cell_length_b 6.0008
_cell_length_c 6.2014
_cell_angle_alpha 61.07
_cell_angle_beta 61.07
_cell_angle_gamma 60.01
loop_
_space_group_symop_operation_xyz
'x,y,z'
loop_
_atom_site_label
_atom_site_fract_x
_atom_site_fract_y
_atom_site_fract_z
_atom_site_occupancy
Sr1 0.8162 0.8162 0.5515 1
Np1 0.3162 0.3162 0.0515 1
Hg1 0.5566 0.5568 0.3299 1
Hg2 0.0757 0.0755 0.7732 1
O1 0.5247 0.2270 0.2891 1
O2 0.2269 0.9593 0.2891 1
O3 0.9592 0.5248 0.2890 1
O4 0.4054 0.6730 0.8140 1
O5 0.6731 0.1076 0.8140 1
O6 0.1076 0.4054 0.8140 1

---

Record 4
# NpHgTe2O8 | Alexandria | PBE-GGA | relaxed
# Total DFT energy (no corrections), eV per atom: -6.418
# Space-group type: C2/m, No. 12
data_NpHgTe2O8
_space_group_name_H-M_alt 'P 1'
_space_group_IT_number 1
_cell_length_a 6.0219
_cell_length_b 7.3845
_cell_length_c 7.0573
_cell_angle_alpha 46.32
_cell_angle_beta 64.75
_cell_angle_gamma 65.94
loop_
_space_group_symop_operation_xyz
'x,y,z'
loop_
_atom_site_label
_atom_site_fract_x
_atom_site_fract_y
- - -

I couldn't see it working in the manner you have outlined. It would need oversight and a layer of bureaucracy and it would be a field day for the PC brigade. Quite simply I think it would fall apart as it would look like slave labour. A much better way IMO is to ensure that you are always better off working for the minimum wage than staying at home.
If unemployed for more than say 12 monthsm you should have to work for the dole. Jobs should involve clearing streets, assisting elderly/disabled in our communities, helping in creches etc. to lower cost of childcare. If people want their benefits and some of the aspects of lifestyle they allow (smoking, Sky TV, mobile phones etc.) they should have to earn these.

=====
VASP calculation (PBE) on crystalline Pr6YSn10 at its relaxed geometry.

POSCAR file:
```
Pr6YSn10
1.0
9.466 0.000 0.000
-4.733 8.198 0.000
0.000 0.000 6.463
Pr Y Sn
6 1 10
Cartesian
-1.851 3.206 1.727
-2.882 4.992 4.736
3.702 0.000 1.727
1.851 3.206 4.736
5.764 0.000 4.736
2.882 4.992 1.727
0.000 0.000 3.231
-1.174 2.034 5.286
-3.559 6.164 1.176
2.349 0.000 5.286
1.174 2.034 1.176
0.000 5.465 0.000
0.000 5.465 3.231
4.733 2.733 0.000
4.733 2.733 3.231
7.117 0.000 1.176
3.559 6.164 5.286
```

Summary:
The final energy is -4.99 eV/atom. Its space-group type is No. 162.


VASP calculation (PBE) on crystalline TbMnTlBr6 at its relaxed geometry.

POSCAR file:
```
TbMnTlBr6
1.0
7.172 0.000 0.000
-3.586 6.211 0.000
0.000 0.000 14.661
Tb Mn Tl Br
2 2 2 12
Cartesian
0.000 4.141 3.665
3.586 2.070 10.996
0.000 4.141 10.996
3.586 2.070 3.665
0.000 0.000 0.000
0.000 0.000 7.330
-1.266 2.347 9.406
-2.186 3.942 12.585
1.266 2.347 12.585
-0.920 6.134 9.406
2.666 0.078 2.076
1.400 2.270 5.254
2.186 3.942 9.406
0.920 6.134 12.585
4.506 0.078 5.254
2.320 3.864 2.076
5.772 2.270 2.076
4.852 3.864 5.254
```

Summary:
The final energy is -4.21 eV/atom. Its space-group type is No. 163.

* * * * *

Record 1
TmSiAsO | PBE-GGA | optimized geometry

Results
total energy = -6.210 eV per atom
total magnetic moment = 0.00 μB/f.u.
V = 133.2 Å³ per cell

The structure in POSCAR format:
```
TmSiAsO
1.0
-1.860 1.429 3.112
4.556 -1.286 3.313
2.296 5.346 -1.082
As O Si Tm
2 2 2 2
Cartesian
2.460 0.898 1.058
4.464 3.329 1.139
4.229 1.838 4.123
1.592 5.580 0.829
5.092 1.343 2.427
2.742 5.003 -0.659
2.634 0.272 3.889
1.642 3.550 1.791
```

Record 2
BaNbSi | PBE-GGA | optimized geometry

Results
total energy = -5.103 eV per atom
total magnetic moment = 2.56 μB/f.u.
V = 87.9 Å³ per cell

The structure in POSCAR format:
```
BaNbSi
1.0
0.000 3.529 3.529
3.529 0.000 3.529
3.529 3.529 0.000
Ba Nb Si
1 1 1
Cartesian
1.764 1.764 1.764
5.293 5.293 5.293
0.000 0.000 0.000
```

Record 3
Pd3AuS5 | PBE-GGA | optimized geometry

Results
total energy = -4.305 eV per atom
V = 197.4 Å³ per cell

The structure in POSCAR format:
```
Pd3AuS5
1.0
6.840 0.000 0.000
-3.420 5.924 0.000
0.000 0.000 4.872
Au Pd S
1 3 5
Cartesian
0.000 0.000 0.000
3.420 0.000 2.436
-1.710 2.962 2.436
1.710 2.962 2.436
3.420 1.975 1.163
0.000 3.949 1.163
0.000 0.000 2.436
3.420 1.975 3.708
0.000 3.949 3.708
```

Record 4
TlAg3SnSe4 | PBE-GGA | optimized geometry

Results
total energy = -3.376 eV per atom
V = 273.3 Å³ per cell

The structure in POSCAR format:
```
TlAg3SnSe4
1.0
6.490 0.000 0.000
0.000 6.490 0.000
0.000 0.000 6.490
Ag Se Sn Tl
3 4 1 1
Cartesian
3.245 0.000 0.000
0.000 3.245 0.000
0.000 0.000 3.245
4.991 1.499 1.499
1.499 4.991 1.499
1.499 1.499 4.991
4.991 4.991 4.991
0.000 0.000 0.000
3.245 3.245 3.245
```

Record 5
NbTeCl9 | PBE-GGA | optimized geometry

Results
total energy = -3.648 eV per atom
total magnetic moment = 0.00 μB/f.u.
V = 1289.1 Å³ per cell

The structure in POSCAR format:
```
NbTeCl9
1.0
=====
-- The entry goes on --

If you don't go out to earn these, you should be given food vouchers which are not transferrable to anyone or anything other than staple foods, basic accommodation and a small allowance per week. Draconian? Maybe, but as discussed above people shouldn't be better off not working.

## Calculated crystals, as found in the file
/*
Material: Ca3Ag2Pb
Method: DFT, PBE
State: optimized geometry

Computed properties:
Calculated volume (Å³/atom): 26.9
Energy of formation (eV/f.u.): -2.542
Distance to the lowest polymorph of the same formula (eV per formula unit): 0.00
Fermi-level density of states (states/eV/atom): 0.27
Total magnetization (μB/f.u.): 0.00
Space group: No. 164

Geometry as CIF:
```
data_Ca3Ag2Pb
_cell_length_a 5.331
_cell_length_b 5.331
_cell_length_c 13.132
_cell_angle_alpha 90.00
_cell_angle_beta 90.00
_cell_angle_gamma 120.00
_symmetry_space_group_name_H-M 'P 1'
_symmetry_Int_Tables_number 1
loop_
_symmetry_equiv_pos_as_xyz
'x,y,z'
loop_
_atom_site_label
_atom_site_fract_x
_atom_site_fract_y
_atom_site_fract_z
_atom_site_occupancy
Ca1 0.000 0.000 0.244 1
Ca2 0.000 0.000 0.756 1
Ca3 0.333 0.667 0.418 1
Ca4 0.333 0.667 0.921 1
Ca5 0.667 0.333 0.079 1
Ca6 0.667 0.333 0.582 1
Ag1 0.000 0.000 0.000 1
Ag2 0.000 0.000 0.500 1
Ag3 0.333 0.667 0.165 1
Ag4 0.667 0.333 0.835 1
Pb1 0.333 0.667 0.671 1
Pb2 0.667 0.333 0.329 1
```

---

Material: CaAgPb4
Method: DFT, PBE
State: optimized geometry

Computed properties:
Calculated volume (Å³/atom): 31.7
Energy of formation (eV/f.u.): 0.271
Fermi-level density of states (states/eV/atom): 0.62
Total magnetization (μB/f.u.): 0.00
Space group: No. 216

Geometry as CIF:
```
data_CaAgPb4
_cell_length_a 6.454
_cell_length_b 6.454
_cell_length_c 6.454
_cell_angle_alpha 60.00
_cell_angle_beta 60.00
_cell_angle_gamma 60.00
_symmetry_space_group_name_H-M 'P 1'
_symmetry_Int_Tables_number 1
loop_
_symmetry_equiv_pos_as_xyz
'x,y,z'
loop_
_atom_site_label
_atom_site_fract_x
_atom_site_fract_y
_atom_site_fract_z
_atom_site_occupancy
Ca1 0.000 0.000 0.000 1
Ag1 0.250 0.250 0.250 1
Pb1 0.124 0.625 0.625 1
Pb2 0.625 0.124 0.625 1
Pb3 0.625 0.625 0.124 1
Pb4 0.625 0.625 0.625 1
```

---

Material: CaAg8Pb3
Method: DFT, PBE
State: optimized geometry

Computed properties:
Calculated volume (Å³/atom): 22.0
Energy of formation (eV/f.u.): -0.935
Fermi-level density of states (states/eV/atom): 0.35
Total magnetization (μB/f.u.): 0.00
Space group: No. 160

Geometry as CIF:
```
data_CaAg8Pb3
_cell_length_a 9.892
_cell_length_b 9.892
_cell_length_c 9.892
_cell_angle_alpha 33.59
_cell_angle_beta 33.59
_cell_angle_gamma 33.59
_symmetry_space_group_name_H-M 'P 1'
_symmetry_Int_Tables_number 1
loop_
_symmetry_equiv_pos_as_xyz
'x,y,z'
loop_
_atom_site_label
_atom_site_fract_x
_atom_site_fract_y
_atom_site_fract_z
_atom_site_occupancy
Ca1 0.000 0.000 0.000 1
Ag1 0.063 0.063 0.564 1
Ag2 0.063 0.564 0.063 1
Ag3 0.064 0.563 0.563 1
Ag4 0.313 0.313 0.313 1
Ag5 0.563 0.064 0.563 1
Ag6 0.563 0.563 0.064 1
Ag7 0.564 0.063 0.063 1
Ag8 0.813 0.813 0.813 1
Pb1 0.125 0.125 0.125 1
Pb2 0.499 0.499 0.499 1
Pb3 0.626 0.626 0.626 1
```

---

Material: Ca4AgPb
Method: DFT, PBE
State: optimized geometry

Computed properties:
Calculated volume (Å³/atom): 34.9
Energy of formation (eV/f.u.): 1.446
Distance to the lowest polymorph of the same formula (eV per formula unit): 3.46
*/

Again, this all needs oversight and jobs filled by the state to manage. What better way to incentivise people to go back to work than to cut the dole? In my opinion, the dole should actually be pretty high in the first few months if you have worked say for >3 years as you are more likely to go back working anyway. Those still on the dole after 12 months should receive every diminishing amounts - you should be financially better off working for the minimum wage than drawing the dole IMO.

Agree with your idea that dole should be pretty high in first few months if you have worked previously - perhaps even as much as 80 - 90% of your salary when you were working, and gradually decrease over time. People that enter the social welfare system straight after leaving school and never have jobs - that's different, they should be working for the money asx they have never contributed to a system, and support should be given to helping train these people with skills (employment, social, citizenship).
Are we the only country in the EU that has unlimited (by time) entitlement to dole payments?
I would prefer to see prisoners being made to work before dole recipients

Also I would like to see someone's dole entitlements based on their social contribution record over the past, say 5-10 years

So someone with a full 10 years contributions would receive 100% dole allowances while someone with, say 8 of 10 years would receive 80% allowance etc

That type of system anyway
I know where I live, there were 3 people on the dole who were told just before Christmas that they had to clean the village or else their money would be stopped. They now work 8am-5pm cleaning up litter, cutting branches, and doing other small jobs around the place.

Two out of the three loved the idea. The third guy wasn't very happy about having to be up before 11am
I wouldn't have a problem working for dole money. It would probably be a lot more than the buttons I'm currently earning!

If there are real jobs out there these should be filled first though rather than making pretendy-uppy jobs. That should be a key benefit of the minimum should be there to provide someone with an incentive to work rather then living off the dole as well as protecting them for greedy business owners.
While it's easy to say some on the dole are lazy it's very easy to fall into a rut. Sleep till noon, watch trash TV and drink cans to distract yourself.
Confidence in such a hole you stress just thinking about a job interview

Pull yourself together say many
True but it's tough but then life is tough and a series of challenges I suppose

Not sure about this plan but I think getting somewhere to go and co workers to chat to will do a world of good to many, out in the fresh air and painting some walls and doing some work, whatever you're sent to do
Gives you a purpose
Ructions here in England with the Government proposal that benefits shoulb be capped at £25,000 per year.
Suggested that this equates to about £35,000 for a working person pre tax.
Was just wondering if any of the above posters have ever spent any time on the dole, because I can assure you it's not a pretty place to be.
Please do not assume that those on the dole have very low skills and would be more suited to cleaning our Streets than perhaps helping our "weaker" students with homework or exam preparation.

A friend offered free Computer Classes at the local Library but was turned down.
I agree with current proposals that you either undertake retraining or attend interviews/take jobs or else your benefits are cut. Its supposed to be jobseekers allowance, not wages for nothing.

PRSI will protect people (to some extent) for the first 12 months - you get higher benefits because of your contributions.

In California they pay benefits onto a card that, recently, couldnt be used for fortune tellers cards and off-licences - the same and a wider restriction would be welcome here - particularly for childrens allowance. I'm afraid that benefit is either saved (by people who dont need it), or wasted on lifestyle spending. Neglect of kids, apparently a not insignificant problem, should be prevented if childrens allowances was being spent properly.